**Wanted:**
Type out the data further below word for word, please.

**Source:**
********
Model A:
Density functional theory data (the ωB97M-V functional and the def2-TZVPD basis) for C6H7N3O in the gas phase.

Positions of all 17 atoms, in Å:
C -1.04 -2.64 0.04
C -0.97 -1.59 0.90
C 0.99 1.78 -0.74
C 1.56 1.01 0.15
C -0.48 1.85 -0.78
C 0.59 0.29 1.03
N 0.06 -2.70 -0.69
N 0.87 -1.79 -0.39
N 0.20 -0.97 0.54
O -0.94 1.33 0.41
H -1.98 -3.21 -0.16
H -1.85 -1.19 1.45
H 1.46 2.25 -1.55
H 2.64 1.00 0.28
H -0.80 2.91 -0.77
H -0.82 1.27 -1.78
H 0.51 0.39 2.07

Calculated values
Multiplicity ... 1
Kohn-Sham gap ... 9.431 eV
Total charge ... 0
HOMO energy ... -9.5 eV

Here are the Mulliken charges for atoms 1 to 2, given in e:
1. C -0.1962
2. C -0.1588

---

Model B:
Density functional theory data (the ωB97M-V functional and the def2-TZVPD basis) for C6H7N3O in the gas phase.

Positions of all 17 atoms, in Å:
C 2.29 1.32 0.25
C 2.22 -0.07 -0.03
O 3.19 -0.80 -0.19
N 1.02 -0.75 -0.01
C -0.36 -0.29 -0.05
N -0.63 0.92 -0.16
C -1.88 1.28 -0.16
C -2.88 0.34 -0.02
C -2.42 -0.94 0.10
N -1.23 -1.33 0.10
H 3.26 1.74 0.43
H 1.72 1.88 -0.67
H 1.83 1.67 1.33
H 1.01 -1.97 -0.03
H -2.23 2.50 -0.21
H -4.06 0.57 0.06
H -2.97 -1.70 0.52

Calculated values
Multiplicity ... 1
SMILES ... CC(=O)Nc1ncccn1
Kohn-Sham gap ... 9.902 eV
Total charge ... 0
HOMO energy ... -9.3 eV

Here are the Mulliken charges for atoms 1 to 2, given in e:
1. C -0.8340
2. C 0.6086

---

Model C:
Density functional theory data (the ωB97M-V functional and the def2-TZVPD basis) for a 2-piece molecular cluster, C6H7N3O overall.

Positions of all 17 atoms, in Å:
C -2.37 1.56 -0.30
C -1.47 0.38 -0.17
N -2.04 -0.84 -0.21
C -1.24 -1.90 -0.19
C 0.15 -1.79 -0.21
C 0.65 -0.50 -0.10
C 2.08 -0.24 -0.27
N 3.04 0.11 -0.88
N -0.15 0.57 -0.05
H -3.14 1.53 0.48
H -1.81 2.50 -0.22
H -2.88 1.53 -1.27
H -1.72 -2.88 -0.27
H 0.80 -2.66 -0.34
O 3.49 0.65 1.62
H 2.70 1.19 1.80
H 3.91 0.78 0.58

Calculated values
Multiplicity ... 1
SMILES ... Cc1nccc(C#N)n1.O
Kohn-Sham gap ... 9.628 eV
Total charge ... 0
HOMO energy ... -10.2 eV

Here are the Mulliken charges for atoms 1 to 2, given in e:
1. C -0.9447
2. C 0.5511

---

The least stable of them is model A.

---

Model A:
Density functional theory data (the ωB97M-V functional and the def2-TZVPD basis) for C6H14NO in the gas phase.

Positions of all 22 atoms, in Å:
C 0.45 0.78 0.84
N 0.90 -0.05 1.97
C 0.97 0.66 3.36
O 0.00 0.20 4.10
C 0.65 -0.01 -0.46
C -0.60 -0.48 -1.12
C -0.21 -1.55 -2.21
C -1.43 0.50 -1.85
H 1.08 1.67 0.82
H -0.63 1.08 0.90
H 0.28 -0.81 1.99
H 1.88 0.44 3.84
H 0.88 1.67 3.31
H 1.37 0.59 -1.03
H 1.25 -0.95 -0.16
H -1.37 -0.95 -0.42
H -1.02 -1.87 -2.76
H 0.45 -1.01 -2.97
H 0.21 -2.49 -1.78
H -2.50 0.38 -1.89
H -1.34 0.61 -2.97
H -1.28 1.60 -1.51

Calculated values
Multiplicity ... 2
Kohn-Sham gap (spin up / spin down) ... 10.035 / 7.257 eV
Total charge ... 0
HOMO energy (spin up / spin down) ... -8.9 / -8.8 eV

Here are the Mulliken charges for atoms 1 to 2, given in e:
1. C -0.5844
2. N -0.3707

---

Model B:
Density functional theory data (the ωB97M-V functional and the def2-TZVPD basis) for C6H14NO in the gas phase.

Positions of all 22 atoms, in Å:
C -1.95 -0.07 -0.35
C -0.52 0.39 0.00
C 0.09 -0.67 0.97
C 0.62 -1.93 0.28
C 1.01 0.04 1.97
N 0.27 0.46 -1.23
C 0.60 1.76 -1.81
O 0.13 2.03 -3.02
H -2.33 0.63 -1.11
H -2.67 -0.13 0.46
H -1.93 -1.02 -0.85
H -0.58 1.36 0.52
H -0.79 -0.93 1.56
H 1.32 -1.64 -0.49
H 1.24 -2.40 1.02
H -0.19 -2.54 -0.09
H 0.45 0.33 2.83
H 1.58 0.90 1.61
H 1.80 -0.59 2.37
H -0.02 -0.27 -1.85
H 0.16 2.47 -1.08
H 1.69 1.82 -1.72

Calculated values
Multiplicity ... 2
Kohn-Sham gap (spin up / spin down) ... 9.808 / 7.200 eV
Total charge ... 0
HOMO energy (spin up / spin down) ... -8.8 / -8.8 eV

Here are the Mulliken charges for atoms 1 to 2, given in e:
1. C -1.6378
2. C -0.1464

---

The least stable of them is model A.

---

Model A:
Density functional theory data (the ωB97M-V functional and the def2-TZVPD basis) for CH3BrClN in the gas phase.

Positions of all 7 atoms, in Å:
N -0.97 -0.38 0.01
********

**Worked solution:**
Model A:
Density functional theory data (the ωB97M-V functional and the def2-TZVPD basis) for C6H7N3O in the gas phase.

Positions of all 17 atoms, in Å:
C -1.04 -2.64 0.04
C -0.97 -1.59 0.90
C 0.99 1.78 -0.74
C 1.56 1.01 0.15
C -0.48 1.85 -0.78
C 0.59 0.29 1.03
N 0.06 -2.70 -0.69
N 0.87 -1.79 -0.39
N 0.20 -0.97 0.54
O -0.94 1.33 0.41
H -1.98 -3.21 -0.16
H -1.85 -1.19 1.45
H 1.46 2.25 -1.55
H 2.64 1.00 0.28
H -0.80 2.91 -0.77
H -0.82 1.27 -1.78
H 0.51 0.39 2.07

Calculated values
Multiplicity ... 1
Kohn-Sham gap ... 9.431 eV
Total charge ... 0
HOMO energy ... -9.5 eV

Here are the Mulliken charges for atoms 1 to 2, given in e:
1. C -0.1962
2. C -0.1588

---

Model B:
Density functional theory data (the ωB97M-V functional and the def2-TZVPD basis) for C6H7N3O in the gas phase.

Positions of all 17 atoms, in Å:
C 2.29 1.32 0.25
C 2.22 -0.07 -0.03
O 3.19 -0.80 -0.19
N 1.02 -0.75 -0.01
C -0.36 -0.29 -0.05
N -0.63 0.92 -0.16
C -1.88 1.28 -0.16
C -2.88 0.34 -0.02
C -2.42 -0.94 0.10
N -1.23 -1.33 0.10
H 3.26 1.74 0.43
H 1.72 1.88 -0.67
H 1.83 1.67 1.33
H 1.01 -1.97 -0.03
H -2.23 2.50 -0.21
H -4.06 0.57 0.06
H -2.97 -1.70 0.52

Calculated values
Multiplicity ... 1
SMILES ... CC(=O)Nc1ncccn1
Kohn-Sham gap ... 9.902 eV
Total charge ... 0
HOMO energy ... -9.3 eV

Here are the Mulliken charges for atoms 1 to 2, given in e:
1. C -0.8340
2. C 0.6086

---

Model C:
Density functional theory data (the ωB97M-V functional and the def2-TZVPD basis) for a 2-piece molecular cluster, C6H7N3O overall.

Positions of all 17 atoms, in Å:
C -2.37 1.56 -0.30
C -1.47 0.38 -0.17
N -2.04 -0.84 -0.21
C -1.24 -1.90 -0.19
C 0.15 -1.79 -0.21
C 0.65 -0.50 -0.10
C 2.08 -0.24 -0.27
N 3.04 0.11 -0.88
N -0.15 0.57 -0.05
H -3.14 1.53 0.48
H -1.81 2.50 -0.22
H -2.88 1.53 -1.27
H -1.72 -2.88 -0.27
H 0.80 -2.66 -0.34
O 3.49 0.65 1.62
H 2.70 1.19 1.80
H 3.91 0.78 0.58

Calculated values
Multiplicity ... 1
SMILES ... Cc1nccc(C#N)n1.O
Kohn-Sham gap ... 9.628 eV
Total charge ... 0
HOMO energy ... -10.2 eV

Here are the Mulliken charges for atoms 1 to 2, given in e:
1. C -0.9447
2. C 0.5511

---

The least stable of them is model A.

---

Model A:
Density functional theory data (the ωB97M-V functional and the def2-TZVPD basis) for C6H14NO in the gas phase.

Positions of all 22 atoms, in Å:
C 0.45 0.78 0.84
N 0.90 -0.05 1.97
C 0.97 0.66 3.36
O 0.00 0.20 4.10
C 0.65 -0.01 -0.46
C -0.60 -0.48 -1.12
C -0.21 -1.55 -2.21
C -1.43 0.50 -1.85
H 1.08 1.67 0.82
H -0.63 1.08 0.90
H 0.28 -0.81 1.99
H 1.88 0.44 3.84
H 0.88 1.67 3.31
H 1.37 0.59 -1.03
H 1.25 -0.95 -0.16
H -1.37 -0.95 -0.42
H -1.02 -1.87 -2.76
H 0.45 -1.01 -2.97
H 0.21 -2.49 -1.78
H -2.50 0.38 -1.89
H -1.34 0.61 -2.97
H -1.28 1.60 -1.51

Calculated values
Multiplicity ... 2
Kohn-Sham gap (spin up / spin down) ... 10.035 / 7.257 eV
Total charge ... 0
HOMO energy (spin up / spin down) ... -8.9 / -8.8 eV

Here are the Mulliken charges for atoms 1 to 2, given in e:
1. C -0.5844
2. N -0.3707

---

Model B:
Density functional theory data (the ωB97M-V functional and the def2-TZVPD basis) for C6H14NO in the gas phase.

Positions of all 22 atoms, in Å:
C -1.95 -0.07 -0.35
C -0.52 0.39 0.00
C 0.09 -0.67 0.97
C 0.62 -1.93 0.28
C 1.01 0.04 1.97
N 0.27 0.46 -1.23
C 0.60 1.76 -1.81
O 0.13 2.03 -3.02
H -2.33 0.63 -1.11
H -2.67 -0.13 0.46
H -1.93 -1.02 -0.85
H -0.58 1.36 0.52
H -0.79 -0.93 1.56
H 1.32 -1.64 -0.49
H 1.24 -2.40 1.02
H -0.19 -2.54 -0.09
H 0.45 0.33 2.83
H 1.58 0.90 1.61
H 1.80 -0.59 2.37
H -0.02 -0.27 -1.85
H 0.16 2.47 -1.08
H 1.69 1.82 -1.72

Calculated values
Multiplicity ... 2
Kohn-Sham gap (spin up / spin down) ... 9.808 / 7.200 eV
Total charge ... 0
HOMO energy (spin up / spin down) ... -8.8 / -8.8 eV

Here are the Mulliken charges for atoms 1 to 2, given in e:
1. C -1.6378
2. C -0.1464

---

The least stable of them is model A.

---

Model A:
Density functional theory data (the ωB97M-V functional and the def2-TZVPD basis) for CH3BrClN in the gas phase.

Positions of all 7 atoms, in Å:
N -0.97 -0.38 0.01